**Data:**
____________
Computed PXRD pattern
Compound: Ho2Fe2B4Ir3
Radiation: copper Kα
Structure: a cell relaxed with PBE
Intensities are scaled so that the largest is 100.

Principal peaks in the range 2θ from 10° to 90°, in order of falling intensity:
2θ (°), I (rel.)
38.59, 100
30.36, 80
37.72, 53
24.35, 51
40.68, 42
36.78, 41
46.60, 24
78.78, 22
68.67, 20
61.44, 18

Atomic structure:
```
11
Lattice="0.0000 4.7701 5.6916 2.6748 0.0000 5.6916 2.6748 4.7701 0.0000" Properties=species:S:1:pos:R:3 pbc="T T T"
Ho 2.6748 4.7701 1.5740
Ho 2.6748 4.7701 9.8092
Fe 1.3374 2.3851 0.0000
Fe 1.3374 2.3851 5.6916
____________
**What to do:**
Please find the line further up that holds "scaled so", then repeat that line and all lines after it there.
**Completed:**
Intensities are scaled so that the largest is 100.

Principal peaks in the range 2θ from 10° to 90°, in order of falling intensity:
2θ (°), I (rel.)
38.59, 100
30.36, 80
37.72, 53
24.35, 51
40.68, 42
36.78, 41
46.60, 24
78.78, 22
68.67, 20
61.44, 18

Atomic structure:
```
11
Lattice="0.0000 4.7701 5.6916 2.6748 0.0000 5.6916 2.6748 4.7701 0.0000" Properties=species:S:1:pos:R:3 pbc="T T T"
Ho 2.6748 4.7701 1.5740
Ho 2.6748 4.7701 9.8092
Fe 1.3374 2.3851 0.0000
Fe 1.3374 2.3851 5.6916